Postgresql fulltext slow


I am trying PostgreSQL for the first time, but am finding the fulltext search very slow.

My database has a table with 5 columns and 5 million rows

CREATE TABLE table_test (
    id integer NOT NULL,
    titre character varying(210),
    annee integer,
    pays character varying(50),
    resume_article text
INSERT INTO table_test(titre, annee, pays, resume_article) VALUES
('Blanche-Neige et les Sept Nains', '1937', 'USA', 'L''action débute lorsqu''un jour, la Reine interrogeant son miroir, celui-ci lui répond que la plus belle du royaume est dorénavant la princesse Blanche-Neige'),
('Les Petits Mouchoirs', '2010', 'France', 'Max, riche propriétaire d''un hôtel-restaurant, et sa femme Véro invitent chaque année leurs amis dans leur maison au Cap Ferret pour célébrer l’anniversaire d''Antoine et le début des vacances.'),
('La Reine des neiges', '2013', 'USA', 'Le roi et la reine partent immédiatement voir les trolls dont le roi est capable de guérir Anna.'),
('Au service de Sa Majesté', 'UK', '1937', 'Un mauvais garçon new-yorkais, fuit au Royaume unis en empruntant l''identité de sa victime présumée, un Canadien.');

My tests

// 1st test
ALTER TABLE table_test ADD COLUMN fulltext tsvector NOT NULL DEFAULT '';
UPDATE table_test SET fulltext = (to_tsvector('french', COALESCE(titre, '')) || to_tsvector('french', COALESCE(resume_article, '')));
CREATE INDEX IF NOT EXISTS fulltext_all ON table_test USING GIN(fulltext);

SELECT * FROM table_test WHERE fulltext @@ to_tsquery('reine') AND pays='USA'
//Result in 12/15 seconds

// 2nd test
ALTER TABLE table_test ADD COLUMN fulltext tsvector NOT NULL DEFAULT '';
UPDATE table_test SET fulltext= to_tsvector('simple',"titre" || ' ' || "resume_article");
CREATE INDEX IF NOT EXISTS fulltext_all ON table_test USING GIN(fulltext);

SELECT * FROM table_test WHERE fulltext @@ to_tsquery('reine') AND pays='USA'
//Result in 15/20 seconds

SELECT * FROM table_test WHERE (titre ILIKE '%reine%' OR resume_article ILIKE '%reine%') AND pays='USA'
//Result in 5/6 seconds

And if the result is more than 1000 rows, I need to wait 2 or 3 minutes.

    CREATE TABLE table_test (
    id integer NOT NULL,
    titre character varying(210),
    annee integer,
    pays character varying(50),
    resume_article text
    tsv tsvector NOT NULL,
    CONSTRAINT table_test_pkey PRIMARY KEY (id)
CREATE INDEX idx_pays ON table_test USING btree(pays);
CREATE INDEX idx_tsv ON table_test USING gin(tsv);

EXPLAIN ANALYZE SELECT * FROM table_test WHERE tsv@@ to_tsquery('french', 'maison');

**Misplaced crystal structures**
Record 1
Here is a geometry-optimized CdH24C4Br6N12 structure from the Materials Project database. Energies are from GGA-PBE.

Results
As for the MP2020-corrected energy: -5.38 eV/atom. As for the space-group type: No. 14. Its formation energy is -501.0 meV/atom.

Cell: 19.7018 8.3621 15.1732 Å, 76.83 90.00 90.00°
Positions (direct):
H 0.9411 0.2580 0.5030
H 0.3063 0.8632 0.7227
H 0.8115 0.8342 0.4618
H 0.6685 0.5128 0.4624
H 0.0279 0.0266 0.8882
H 0.1667 0.4112 0.9866
H 0.3315 0.4872 0.5376
H 0.9770 0.4565 0.7272
H 0.9939 0.1677 0.4344
H 0.2283 0.0595 0.9514
H 0.9107 0.5219 0.4610
H 0.1828 0.2126 0.8083
H 0.0893 0.4781 0.5390
H 0.8305 0.3005 0.2216
H 0.0605 0.9078 0.9903
H 0.4873 0.0936 0.3965
H 0.8172 0.7874 0.1917
H 0.2139 0.5543 0.2418
H 0.7685 0.7531 0.3795
H 0.4770 0.0435 0.7728
H 0.0504 0.3395 0.6286
H 0.2368 0.7552 0.6194
H 0.0127 0.5936 0.8965
H 0.7861 0.4457 0.7582
H 0.7717 0.9405 0.0486
H 0.5504 0.1605 0.8714
H 0.5520 0.0658 0.5225
H 0.6088 0.3710 0.7265
H 0.9176 0.2679 0.2313
H 0.0824 0.7321 0.7687
H 0.9395 0.0922 0.0097
H 0.6667 0.0888 0.5134
H 0.0482 0.3409 0.3115
H 0.2717 0.5595 0.4514
H 0.2861 0.0543 0.7418
H 0.2632 0.2552 0.1194
H 0.7826 0.4955 0.1057
H 0.2174 0.5045 0.8943
H 0.5893 0.0219 0.9610
H 0.8315 0.0128 0.9624
H 0.7632 0.2448 0.3806
H 0.7174 0.9955 0.6057
H 0.3024 0.4005 0.0326
H 0.1885 0.1658 0.5382
H 0.2685 0.7469 0.1205
H 0.5279 0.4734 0.6118
H 0.8063 0.6368 0.7773
H 0.7315 0.2531 0.8795
H 0.0520 0.4342 0.9775
H 0.3912 0.6290 0.2735
H 0.5127 0.9064 0.6035
H 0.0230 0.5435 0.2728
H 0.4721 0.5266 0.3882
H 0.4939 0.3323 0.0656
H 0.5824 0.7679 0.7313
H 0.8333 0.5888 0.0134
H 0.1685 0.9872 0.0376
H 0.5589 0.7580 0.0030
H 0.1088 0.1290 0.7735
H 0.8912 0.8710 0.2265
H 0.2826 0.0045 0.3943
H 0.5482 0.1591 0.1885
H 0.4496 0.8395 0.1286
H 0.4518 0.8409 0.8115
H 0.9518 0.6591 0.6885
H 0.2315 0.2469 0.6205
H 0.7368 0.7448 0.8806
H 0.9480 0.5658 0.0225
H 0.3172 0.7126 0.3083
H 0.7139 0.9457 0.2582
H 0.3305 0.1995 0.2784
H 0.4395 0.4078 0.4903
H 0.3115 0.6658 0.0382
H 0.1695 0.6995 0.7784
H 0.4107 0.9781 0.0390
H 0.9873 0.4064 0.1035
H 0.4176 0.2321 0.2687
H 0.4480 0.9342 0.4775
H 0.4411 0.2420 0.9970
H 0.5061 0.6677 0.9344
H 0.0589 0.7420 0.4970
H 0.1976 0.9005 0.5326
H 0.5230 0.9565 0.2272
H 0.9721 0.9734 0.1118
H 0.9496 0.6605 0.3714
H 0.6976 0.5995 0.9674
H 0.6695 0.8005 0.7216
H 0.5605 0.5922 0.5097
H 0.3333 0.9112 0.4866
H 0.6937 0.1368 0.2773
H 0.7283 0.4405 0.5486
H 0.8024 0.0995 0.4674
H 0.6828 0.2874 0.6917
H 0.1937 0.3632 0.2227
H 0.0061 0.8323 0.5656
H 0.6885 0.3342 0.9618
N 0.6226 0.8234 0.6947
N 0.2747 0.9629 0.7100
N 0.7747 0.5371 0.7900
N 0.8203 0.9750 0.0295
N 0.1226 0.6766 0.8053
N 0.8287 0.5081 0.0746
N 0.9712 0.2694 0.4472
N 0.7273 0.6241 0.9110
N 0.6429 0.3663 0.6764
N 0.7842 0.8529 0.4029
N 0.1797 0.0250 0.9705
N 0.3287 0.9919 0.4254
N 0.4385 0.9586 0.0972
N 0.6713 0.0081 0.5746
N 0.2253 0.4629 0.2100
N 0.2727 0.3759 0.0890
N 0.5686 0.5158 0.5716
N 0.9385 0.5414 0.4028
N 0.8571 0.8663 0.1764

"Bitmap Heap Scan on table_test  (cost=3980.87..363013.72 rows=430047 width=212) (actual time=675.558..37781.252 rows=429066 loops=1)"
"  Recheck Cond: (tsv @@ '''maison'''::tsquery)"
"  Rows Removed by Index Recheck: 2172041"
"  Heap Blocks: exact=41111 lossy=79485"
"  ->  Bitmap Index Scan on idx_tsv  (cost=0.00..3873.36 rows=430047 width=0) (actual time=486.134..486.134 rows=429066 loops=1)"
"        Index Cond: (tsv @@ '''maison'''::tsquery)"
"Planning time: 0.506 ms"
"Execution time: 37848.042 ms"

When I try this query without EXPLAIN ANALYSE, it's 2 minutes to wait. Can anyone explain where my mistakes are?

Best Answer

How do you know it's the full text search that's slow? It is very likely that the slow down is caused more by AND pays='USA' You do not have an index on it and with 5 million records 10 seconds seems fair enough.

Create an index on the pays field. This will speed things up provided that the pays field has good cardinality.